### Contents
┌──
This record from the OMol25 dataset describes a cluster of 4 separate species, C62H49BClINO11S in total in a non-equilibrium geometry. The level of theory is ωB97M-V/def2-TZVPD.

For the energy relative to the best compared isomer or geometry (same formula, charge and spin), the calculation gives 0.00 kJ/mol. As for the molar mass: 1189.31 g mol⁻¹. Its total charge is -1. As for the max |F|: 0.033 Eh/bohr. Its multiplicity is 1. The calculation puts the HOMO-LUMO gap at 5.25 eV.

XYZ file:
```
127
Properties=species:S:1:pos:R:3:forces:R:3:mulliken_charge:R:1
C 0.374 -3.739 2.416 0.0 -0.1 0.1 -0.814
O -0.299 -2.634 1.846 -0.1 0.0 -0.1 -0.083
C 0.452 -1.434 1.803 0.0 0.0 0.0 -2.096
C 0.143 -0.522 3.014 0.2 -0.8 0.1 2.127
C -1.332 -0.630 3.375 -0.3 0.5 -0.2 -1.853
C -2.236 -0.290 2.190 0.0 -0.3 -0.1 -0.175
C -3.660 0.147 2.549 0.1 -0.2 -0.2 -1.163
C -4.272 -0.384 3.834 -0.2 0.3 0.0 -0.748
S -4.767 -2.100 3.950 -0.3 0.0 0.4 0.979
O -4.023 -2.753 4.980 -0.1 0.0 -0.2 -0.571
O -6.203 -2.144 3.942 0.3 -0.1 0.0 -0.622
Cl -4.192 -2.932 2.184 0.1 -0.2 -0.1 -0.088
O 0.864 -1.064 4.104 0.1 0.3 0.2 -0.917
B 1.932 -0.184 4.527 -1.4 0.8 0.3 1.532
I 3.993 -1.178 4.149 0.7 -0.4 -0.2 -0.393
O 1.774 1.024 3.726 0.2 -0.2 0.0 -0.879
C 0.703 0.950 2.823 0.3 0.1 0.3 2.513
C -0.303 2.098 3.139 0.0 0.4 0.1 -0.738
C 0.062 2.939 4.335 0.1 0.2 0.4 -0.190
C 0.699 4.172 4.163 -0.1 -0.2 0.4 -0.479
C 1.014 4.980 5.257 -0.2 -0.5 0.0 -0.796
C 0.694 4.562 6.549 -0.1 -0.2 -0.5 -0.399
C 0.063 3.329 6.734 0.1 0.2 -0.4 -0.991
C -0.250 2.528 5.636 0.2 0.4 0.0 0.003
C 1.264 1.143 1.421 0.1 0.1 -0.5 -0.283
C 2.598 0.811 1.147 -0.2 0.2 -0.2 -0.053
C 3.076 0.958 -0.147 -0.3 0.1 0.1 -0.860
C 2.222 1.454 -1.134 -0.3 -0.1 0.4 -0.229
C 0.912 1.751 -0.764 0.4 -0.2 0.0 -1.426
N 0.433 1.596 0.473 0.2 0.0 -0.1 -0.095
H 0.851 -4.340 1.635 0.1 0.0 0.0 0.247
H -0.362 -4.365 2.921 -0.1 0.0 0.0 0.267
H 1.116 -3.421 3.146 0.1 0.0 0.1 0.269
H 1.520 -1.658 1.851 0.1 0.1 -0.1 0.734
H 0.240 -0.957 0.845 -0.2 0.0 0.0 0.036
H -1.539 -1.629 3.754 0.1 -0.1 -0.1 0.527
H -1.528 0.044 4.208 0.1 0.1 0.2 0.296
H -2.281 -1.161 1.536 0.1 0.0 0.0 0.892
H -1.781 0.504 1.596 0.0 0.1 -0.1 -0.122
H -4.336 -0.108 1.732 0.0 0.1 -0.1 0.338
H -3.684 1.235 2.640 -0.1 0.1 0.1 0.433
H -5.231 0.110 3.979 0.0 0.0 0.1 0.553
H -3.662 -0.208 4.717 0.2 -0.1 0.0 0.302
H 1.954 0.062 5.718 0.2 -0.2 -0.2 -0.324
H -1.303 1.719 3.298 -0.1 0.0 0.0 -0.226
H -0.377 2.763 2.281 0.0 -0.1 -0.1 0.701
H 0.945 4.499 3.161 0.0 0.0 -0.1 0.465
H 1.501 5.931 5.090 0.0 0.1 0.0 0.394
H 0.938 5.195 7.391 0.0 0.0 0.1 0.367
H -0.180 3.000 7.734 0.0 -0.1 0.0 0.400
H -0.727 1.571 5.802 0.0 -0.1 0.0 0.373
H 3.226 0.447 1.947 0.0 0.0 0.0 0.037
H 4.100 0.689 -0.370 0.0 0.0 -0.1 0.515
H 2.543 1.594 -2.156 0.0 0.0 0.0 0.566
H 0.225 2.145 -1.505 -0.1 0.0 0.0 0.653
C -1.734 -8.005 -4.681 0.0 0.0 0.0 -0.528
C -2.530 -7.845 -5.810 0.0 0.0 0.0 -0.510
C -3.565 -6.927 -5.805 0.1 0.0 -0.1 -0.632
C -3.812 -6.168 -4.667 0.0 0.0 0.0 0.271
C -3.019 -6.337 -3.530 -0.1 0.1 0.0 0.256
C -1.976 -7.255 -3.543 0.1 -0.1 -0.1 -0.649
C -3.286 -5.554 -2.286 0.1 0.0 0.1 0.666
O -2.594 -5.695 -1.303 0.0 0.0 0.0 -0.709
C -4.440 -4.605 -2.292 0.0 0.0 -0.1 -0.226
C -4.746 -3.894 -1.138 0.0 0.1 0.0 -0.357
C -5.819 -3.020 -1.127 0.0 0.0 0.0 -0.142
C -6.584 -2.838 -2.273 0.0 0.0 0.0 -0.594
C -6.282 -3.535 -3.428 -0.1 0.0 0.0 -0.633
C -5.215 -4.425 -3.442 0.0 -0.1 0.0 0.235
C -4.930 -5.183 -4.692 0.0 0.0 0.0 0.593
O -5.586 -5.008 -5.698 0.0 0.0 0.0 -0.685
H -0.921 -8.720 -4.689 0.0 0.0 0.0 0.433
H -2.340 -8.438 -6.695 0.0 0.0 0.0 0.411
H -4.191 -6.789 -6.675 0.0 0.0 0.0 0.482
H -1.358 -7.378 -2.664 -0.1 0.1 0.1 0.508
H -4.138 -4.022 -0.253 0.1 -0.1 -0.1 0.565
H -6.056 -2.476 -0.222 0.0 0.0 0.0 0.441
H -7.418 -2.149 -2.262 0.0 0.0 0.0 0.406
H -6.868 -3.404 -4.327 0.0 0.0 0.0 0.482
C 0.636 12.549 0.839 0.0 0.0 0.0 -0.448
C -0.267 11.950 1.710 0.0 0.0 0.0 -0.486
C -0.410 10.574 1.725 0.0 0.1 0.0 -0.542
C 0.345 9.789 0.863 0.0 0.0 0.0 0.167
C 1.240 10.390 -0.021 0.0 -0.1 0.0 0.172
└──
### Brief
The reader should write out the calculation results further up from the line with "3.226 0.447" to the end unchanged.
### Completed
H 3.226 0.447 1.947 0.0 0.0 0.0 0.037
H 4.100 0.689 -0.370 0.0 0.0 -0.1 0.515
H 2.543 1.594 -2.156 0.0 0.0 0.0 0.566
H 0.225 2.145 -1.505 -0.1 0.0 0.0 0.653
C -1.734 -8.005 -4.681 0.0 0.0 0.0 -0.528
C -2.530 -7.845 -5.810 0.0 0.0 0.0 -0.510
C -3.565 -6.927 -5.805 0.1 0.0 -0.1 -0.632
C -3.812 -6.168 -4.667 0.0 0.0 0.0 0.271
C -3.019 -6.337 -3.530 -0.1 0.1 0.0 0.256
C -1.976 -7.255 -3.543 0.1 -0.1 -0.1 -0.649
C -3.286 -5.554 -2.286 0.1 0.0 0.1 0.666
O -2.594 -5.695 -1.303 0.0 0.0 0.0 -0.709
C -4.440 -4.605 -2.292 0.0 0.0 -0.1 -0.226
C -4.746 -3.894 -1.138 0.0 0.1 0.0 -0.357
C -5.819 -3.020 -1.127 0.0 0.0 0.0 -0.142
C -6.584 -2.838 -2.273 0.0 0.0 0.0 -0.594
C -6.282 -3.535 -3.428 -0.1 0.0 0.0 -0.633
C -5.215 -4.425 -3.442 0.0 -0.1 0.0 0.235
C -4.930 -5.183 -4.692 0.0 0.0 0.0 0.593
O -5.586 -5.008 -5.698 0.0 0.0 0.0 -0.685
H -0.921 -8.720 -4.689 0.0 0.0 0.0 0.433
H -2.340 -8.438 -6.695 0.0 0.0 0.0 0.411
H -4.191 -6.789 -6.675 0.0 0.0 0.0 0.482
H -1.358 -7.378 -2.664 -0.1 0.1 0.1 0.508
H -4.138 -4.022 -0.253 0.1 -0.1 -0.1 0.565
H -6.056 -2.476 -0.222 0.0 0.0 0.0 0.441
H -7.418 -2.149 -2.262 0.0 0.0 0.0 0.406
H -6.868 -3.404 -4.327 0.0 0.0 0.0 0.482
C 0.636 12.549 0.839 0.0 0.0 0.0 -0.448
C -0.267 11.950 1.710 0.0 0.0 0.0 -0.486
C -0.410 10.574 1.725 0.0 0.1 0.0 -0.542
C 0.345 9.789 0.863 0.0 0.0 0.0 0.167
C 1.240 10.390 -0.021 0.0 -0.1 0.0 0.172